How does Rust's 128-bit integer `i128` work on a 64-bit system?

Rust has 128-bit integers, these are denoted with the data type i128 (and u128 for unsigned ints):

let a: i128 = 170141183460469231731687303715884105727;

How does Rust make these i128 values work on a 64-bit system; e.g. how does it do arithmetic on these?

Since, as far as I know, the value cannot fit in one register of a x86-64 CPU, does the compiler somehow use two registers for one i128 value? Or are they instead using some kind of big integer struct to represent them?

Solution 1:

All Rust's integer types are compiled to LLVM integers. The LLVM abstract machine allows integers of any bit width from 1 to 2^23 - 1.* LLVM instructions typically work on integers of any size.

Obviously, there aren't many 8388607-bit architectures out there, so when the code is compiled to native machine code, LLVM has to decide how to implement it. The semantics of an abstract instruction like add are defined by LLVM itself. Typically, abstract instructions that have a single-instruction equivalent in native code will be compiled to that native instruction, while those that don't will be emulated, possibly with multiple native instructions. mcarton's answer demonstrates how LLVM compiles both native and emulated instructions.

(This doesn't only apply to integers that are larger than the native machine can support, but also to those that are smaller. For example, modern architectures might not support native 8-bit arithmetic, so an add instruction on two i8s may be emulated with a wider instruction, the extra bits discarded.)

Does the compiler somehow use 2 registers for one i128 value? Or are they using some kind of big integer struct to represent them?

At the level of LLVM IR, the answer is neither: i128 fits in a single register, just like every other single-valued type. On the other hand, once translated to machine code, there isn't really a difference between the two, because structs may be decomposed into registers just like integers. When doing arithmetic, though, it's a pretty safe bet that LLVM will just load the whole thing into two registers.

* However, not all LLVM backends are created equal. This answer relates to x86-64. I understand that backend support for sizes larger than 128 and non-powers of two is spotty (which may partly explain why Rust only exposes 8-, 16-, 32-, 64-, and 128-bit integers). According to est31 on Reddit, rustc implements 128 bit integers in software when targeting a backend that doesn't support them natively.

********
# 1
Formula: C3H7N3S
Source: the OMol25 dataset
Level of theory: ωB97M-V with the def2-TZVPD basis set

HOMO-LUMO gap: 9.27 eV
LUMO level: 0.726 eV
HOMO: -0.3139 Ha
Energy above the lowest of the compared OMol25 structures with the same formula, charge and spin: 2.419 eV

Geometry (Å):
C (2.912, 0.412, 0.384)
N (2.392, -0.366, -0.507)
N (1.079, -0.760, -0.280)
C (-0.030, 0.163, -0.312)
S (0.087, 1.847, -0.319)
N (-1.301, -0.535, -0.125)
C (-2.585, 0.099, 0.065)
H (3.983, 0.737, 0.150)
H (2.413, 0.890, 1.239)
H (0.897, -1.601, -0.804)
H (-1.184, -1.556, 0.099)
H (-2.870, 0.590, -0.902)
H (-2.509, 0.838, 0.890)
H (-3.284, -0.758, 0.423)

Forces on the atoms, in the same order (eV/Å):
C 0.84 0.26 -1.74
N 0.92 0.84 1.42
N -1.98 1.19 -0.05
C -1.62 -0.84 1.43
S -0.24 -1.75 -0.18
N 4.17 -0.64 -0.45
C -0.47 -0.71 0.38
H -1.59 -0.59 0.46
H -0.02 -0.53 -0.35
H -0.08 -0.06 -0.14
H -0.34 1.77 -0.31
H -0.27 -0.43 1.10
H -0.21 -0.22 -0.62
H 0.88 1.70 -0.97

# 2
Formula: C4H5LiMgNaO2
Source: the OMol25 dataset
Level of theory: ωB97M-V with the def2-TZVPD basis set

HOMO-LUMO gap (spin up / spin down): 4.48 / 4.51 eV
<S²>: 0.774
LUMO level (spin up / spin down): -1.267 / -1.293 eV
HOMO (spin up / spin down): -0.2113 / -0.2132 Ha
Energy above the lowest of the compared OMol25 structures with the same formula, charge and spin: 1.697 eV
2S+1: 2

Geometry (Å):
O (2.186, -0.163, 0.537)
C (0.910, -0.588, 0.174)
C (-0.159, -0.546, 1.224)
Mg (2.736, 1.656, -0.028)
Li (3.217, -1.525, 1.036)
H (0.694, -1.379, -0.572)
H (0.389, 0.099, -0.510)
H (-0.723, -1.489, 1.207)
H (0.160, -0.226, 2.224)
C (-2.375, 0.095, 0.012)
C (-2.380, 0.783, -1.074)
O (-1.717, 1.433, -1.926)
Na (0.164, 2.372, -2.828)
H (-3.101, -0.522, 0.525)

Forces on the atoms, in the same order (eV/Å):
O 0.97 -0.99 0.08
C -2.85 1.50 -0.97
C 0.86 -2.31 0.80
Mg -0.20 0.10 -0.34
Li -0.37 0.45 -0.12
H 1.27 -1.04 0.80
H 0.57 1.34 -0.54
H -0.24 0.66 0.36
H -0.32 0.28 -0.34
C -1.64 0.57 -1.48
C 3.13 -0.47 1.38
O -0.91 0.11 -0.33
Na -0.56 -0.42 0.70
H 0.29 0.22 0.00

# 3
Formula: C42H45F18IN3O15
Source: the OMol25 dataset
Level of theory: ωB97M-V with the def2-TZVPD basis set

HOMO-LUMO gap: 6.87 eV
LUMO level: -5.400 eV
HOMO: -0.4509 Ha
Total charge: +1

Geometry (Å):
C (2.300, -4.212, -1.585)
C (2.838, -3.080, -2.266)
C (3.133, -1.967, -3.479)
C (2.044, -0.717, -3.360)
C (2.544, 0.751, -2.828)
C (4.062, 1.162, -2.364)
O (4.158, 1.977, -1.278)
O (5.320, 0.756, -3.008)
C (1.383, 1.947, -2.744)
C (-0.200, 1.616, -3.145)
C (-1.260, 2.874, -3.017)
C (-0.523, 4.344, -3.321)
O (-0.291, 4.687, -4.616)
I (0.095, 5.667, -1.692)
N (-0.607, 0.199, -3.598)
C (-2.093, 0.014, -3.894)
C (-3.055, -0.715, -2.802)
C (-4.590, -0.741, -3.340)
C (-4.947, -0.105, -4.768)
N (-4.099, 0.527, -5.817)
C (-2.711, 0.532, -5.279)
C (0.429, -0.931, -3.735)
C (0.002, -2.457, -4.260)
C (0.650, -2.803, -5.760)
N (0.259, -3.938, -6.459)
H (1.667, -4.941, -0.888)
H (3.138, -2.460, -4.545)
H (4.254, -1.610, -3.286)
H (5.768, 0.156, -2.313)
********

Solution 2:

The compiler will store these in multiple registers and use multiple instructions to do arithmetic on those values if needed. Most ISAs have an add-with-carry instruction like x86's adc which makes it fairly efficient to do extended-precision integer add/sub.

For example, given

fn main() {
    let a = 42u128;
    let b = a + 1337;

the compiler generates the following when compiling for x86-64 without optimization:
(comments added by @PeterCordes)

    sub rsp, 56
    mov qword ptr [rsp + 32], 0
    mov qword ptr [rsp + 24], 42         # store 128-bit 0:42 on the stack
                                         # little-endian = low half at lower address

    mov rax, qword ptr [rsp + 24]
    mov rcx, qword ptr [rsp + 32]        # reload it to registers

    add rax, 1337                        # add 1337 to the low half
    adc rcx, 0                           # propagate carry to the high half. 1337u128 >> 64 = 0

    setb    dl                           # save carry-out (setb is an alias for setc)
    mov rsi, rax
    test    dl, 1                        # check carry-out (to detect overflow)
    mov qword ptr [rsp + 16], rax        # store the low half result
    mov qword ptr [rsp + 8], rsi         # store another copy of the low half
    mov qword ptr [rsp], rcx             # store the high half
                             # These are temporary copies of the halves; probably the high half at lower address isn't intentional
    jne .LBB8_2                       # jump if 128-bit add overflowed (to another not-shown block of code after the ret, I think)

What comes next are data records, not part of the piece
- - -
Record 1
{
  "formula": "C72H85N16O2PS2",
  "method": "ωB97M-V/def2-TZVPD",
  "elements": ["C", "C", "O", "N", "C", "C", "O", "C", "C", "C", "C", "C", "C", "N", "P", "S", "C", "C", "C", "C", "C", "C", "S", "H", "H", "H", "H", "H", "H", "H", "H", "H", "H", "H", "H", "H", "H", "H", "N", "C", "C", "C", "C", "H", "H", "H", "H", "H", "N", "C", "C", "C", "C", "H", "H", "H", "H", "H", "N", "C", "C", "C", "C", "H", "H", "H", "H", "H", "N", "C", "C", "C", "C", "H", "H", "H", "H", "H", "N", "C", "C", "C", "C", "H", "H", "H", "H", "H", "N", "C", "C", "C", "C", "H", "H", "H", "H", "H", "N", "C", "C", "C", "C", "H", "H", "H", "H", "H", "N", "C", "C", "C", "C", "H", "H", "H", "H", "H", "N", "C", "C", "C", "C", "H", "H", "H", "H", "H", "N", "C", "C", "C", "C", "H", "H", "H", "H", "H", "N", "C", "C", "C", "C", "H", "H", "H", "H", "H", "N", "C", "C", "C", "C", "H", "H", "H", "H", "H", "N", "C", "C", "C", "C", "H", "H", "H", "H", "H", "N", "C", "C", "C", "C", "H", "H", "H", "H", "H"],
- - -

    mov rax, qword ptr [rsp + 16]
    mov qword ptr [rsp + 40], rax     # copy low half to RSP+40
    mov rcx, qword ptr [rsp]
    mov qword ptr [rsp + 48], rcx     # copy high half to RSP+48
                  # This is the actual b, in normal little-endian order, forming a u128 at RSP+40
    add rsp, 56
    ret                               # with retval in EAX/RAX = low half result

where you can see that the value 42 is stored in rax and rcx.

(editor's note: x86-64 C calling conventions return 128-bit integers in RDX:RAX. But this main doesn't return a value at all. All the redundant copying is purely from disabling optimization, and that Rust actually checks for overflow in debug mode.)

For comparison, here is the asm for Rust 64-bit integers on x86-64 where no add-with-carry is needed, just a single register or stack-slot for each value.

    sub rsp, 24
    mov qword ptr [rsp + 8], 42           # store
    mov rax, qword ptr [rsp + 8]          # reload
    add rax, 1337                         # add
    setb    cl
    test    cl, 1                         # check for carry-out (overflow)
    mov qword ptr [rsp], rax              # store the result
    jne .LBB8_2                           # branch on non-zero carry-out

    mov rax, qword ptr [rsp]              # reload the result
    mov qword ptr [rsp + 16], rax         # and copy it (to b)
    add rsp, 24

    call panic function because of integer overflow

The setb / test is still totally redundant: jc (jump if CF=1) would work just fine.

With optimization enabled, the Rust compiler doesn't check for overflow so + works like .wrapping_add().